What Is RFID?
RFID = Radio Frequency Identification Device
It wasn’t until I received my new passport in the mail that I noticed a small gold emblem at the bottom of the front cover of my passport.
It had been nine and a half years since I last renewed my passport so all of this RFID talk was completely German to me.
What most people don’t know is that United States passport holders are not the only ones with RFID chips in our passports.
As a matter of fact, many countries already have integrated RFID chips in their passports.
Did you know: Some U.S. credit cards have integrated RFID chips. In 2011, the Nilson Report stated that there were some 35 million contactless chip cards in circulation.
How Do I Know If I Have an RFID Passport?
If you have a RFID chip in your passport, you’ll notice a small logo at the bottom center of your passport that looks like this.

According to “big brother”, having an RFID chip in your passport makes it easier for customs and immigration officials to quickly and easily identify you.
Wait, so you’re trying to tell me that my old passport isn’t quick enough?
I can’t remember a time that I stepped up to the immigration booth and spent more than three minutes as my information was being processed.
Here the article breaks off for materials data:
-- begin --
Entry 1:
An optimized crystal structure of BeRe2Ag. Source: Alexandria, functional GGA-PBE.

Cell lengths 5.124, 8.466, 2.674 Å; angles 90.00, 90.00, 90.00 degrees
Space group Cmmm (No. 65)
Unique sites:
Be 0.000 0.000 0.000
Re 0.250 0.250 0.500
Ag 0.000 0.500 0.000

Calculated values
The size of the total moment comes out at 0.001 μB per formula unit. The value obtained for the formation energy is 0.647 eV/atom.

Entry 2:
An optimized crystal structure of BeRe2Ag. Source: Alexandria, functional GGA-PBE.

Cell lengths 10.667, 2.693, 4.373 Å; angles 90.00, 114.12, 90.00 degrees
Space group C2/m (No. 12)
Unique sites:
Be 0.000 0.000 0.000
Re 0.209 0.500 0.210
Ag 0.000 0.500 0.500

Calculated values
The size of the total moment comes out at 0.000 μB per formula unit. The value obtained for the formation energy is 0.340 eV/atom.

Entry 3:
An optimized crystal structure of Be2ReAg. Source: Alexandria, functional GGA-PBE.

Cell lengths 5.756, 5.756, 5.756 Å; angles 90.00, 90.00, 90.00 degrees
Space group Fm-3m (No. 225)
Unique sites:
Be 0.250 0.250 0.250
Re 0.000 0.000 0.000
Ag 0.000 0.000 0.500

Calculated values
The size of the total moment comes out at 0.000 μB per formula unit. The value obtained for the formation energy is 0.343 eV/atom. For the relative energy among the computed polymorphs, the calculation gives 0.79 eV/f.u.

Entry 4:
An optimized crystal structure of BeRe2Ag. Source: Alexandria, functional GGA-PBE.

Cell lengths 5.180, 8.908, 2.642 Å; angles 90.00, 107.19, 90.00 degrees
Space group C2/m (No. 12)
Unique sites:
Be 0.000 0.000 0.000
Re 0.250 0.250 0.500
Ag 0.000 0.500 0.000

Calculated values
The size of the total moment comes out at 0.000 μB per formula unit. The value obtained for the formation energy is 0.579 eV/atom.

Entry 5:
An optimized crystal structure of Be3ReAg. Source: Alexandria, functional GGA-PBE.

Cell lengths 4.256, 4.256, 4.256 Å; angles 90.00, 90.00, 90.00 degrees
Space group Pm-3m (No. 221)
Unique sites:
Be 0.000 0.000 0.500
Re 0.000 0.000 0.000
Ag 0.500 0.500 0.500

Calculated values
The size of the total moment comes out at 0.000 μB per formula unit. The value obtained for the formation energy is 1.091 eV/atom. For the relative energy among the computed polymorphs, the calculation gives 0.00 eV/f.u.

Entry 6:
An optimized crystal structure of BeRe2Ag. Source: Alexandria, functional GGA-PBE.

Cell lengths 3.663, 3.663, 4.307 Å; angles 90.00, 90.00, 90.00 degrees
Space group P4/mmm (No. 123)
Unique sites:
Be 0.000 0.000 0.000
Re 0.000 0.500 0.500
Ag 0.500 0.500 0.000

Calculated values
The size of the total moment comes out at 0.000 μB per formula unit. The value obtained for the formation energy is 0.603 eV/atom.

Entry 7:
An optimized crystal structure of Be2ReAg. Source: Alexandria, functional GGA-PBE.

Cell lengths 9.022, 2.606, 4.373 Å; angles 90.00, 106.68, 90.00 degrees
Space group Cm (No. 8)
Unique sites:
Be 0.000 0.000 0.000
Be 0.215 0.500 0.346
Re 0.469 0.000 0.471
Ag 0.247 0.000 0.862
-- stop --
Oh, other than that one time that I returned from a six month around the world trip that included three trips to Egypt in the span of those six months. Yeah, I had a lot of explaining to do.
Okay, fine. Put a chip in my passport. But, before you do, are there risks involved?
The Dangers of RFID Theft
“RFID chips are basically tiny two-way radios that are so small they can fit inside a credit card, an article of clothing, the inside of a shampoo bottle cap, etc.,” he explains.
The chip, essentially a transponder, carries identifying data and can be queried and read, or “sniffed,” at a distance.” – Source.
RFID chips contain an electronic version of your passport data, your photograph, and sometimes even fingerprints depending on the issuing country.
Your personal data + a wireless chip that broadcasts signals in the air that can be easily intercepted by thieves. RFID theft sure doesn’t sound so good!
Did you know: According to Tamperseal.com, criminals can purchase RFID readers on eBay for as little as $8 dollars.
How To Protect Yourself From RFID Theft
The first step in RFID theft prevention for travelers would be to purchase a RFID Blocking Passport Jacket.
Even if RFID theft isn’t as dangerous as some claim it to be, I think that it’s totally worth the small investment to pick yourself up a slick new passport jacket that doubles as a safety net between your information and the thieves trying to access it.
RFID Passport Jackets
RFID Passport Wallets
If you’re looking for something to store both your RFID passport and your RFID credit card, go for an all-in-one RFID Blocking Passport Wallet.
RFID PASSPORT Wallet All-in-One Organizer | RFID PASSPORT Wallet All-in-One Organizer |
Tip: If you’re carrying your passport in your pocket or your purse, make sure it’s completely closed. The cover of your passport will provide some shielding to the RFID chip, but only if it’s fully closed.
Should I Be Worried About RFID Theft?
So, is RFID theft something that
I don’t believe so. While RFID readers can be purchased on the cheap, I imagine the odds of someone actually swiping the data from your passport is a pretty rare occurrence.
Plus, I’m willing to bet the potential thief really has to know what he’s doing in order to get his or her dirty little paws on your data.
Then again, considering how inexpensive RFID Blocking Passport jackets are these days, wouldn’t you rather be safe than sorry?
Are you worried about RFID theft? Weigh in by leaving a comment below.
I never really thought of this! Will have to check it out :)
Thanks for reading.
I’m in awe! Checking out my passport later that’s for sure-lol!
US passport RFIDs don’t contain data. Only a database reference number that corresponds to a file with your actual data stored on US government computers. Without access to the government computers, that reference number isn’t very valuable.
Thanks for the reply Anil. I’ve seen mixed reports on this but it sounds as if that method would be a great way to ensure that the data is secure. Then again, as we all know, just about anything can be hacked these days. The good news is that with this sort of security, it’s even less of a worry for U.S. travelers. If I’m not mistaken, many countries embed their data directly onto the RFID chip though, correct?
Generally, yes. Many in Europe, Japan, etc. although the data is encrypted. (Not the strongest encryption but it’s not in plain text at least on the chip in most cases.)
This is good to know as I’m currently getting a new passport myself. Thanks!
No problem Elliot. Thanks for reading.
Having worked with online security companies for a few years this sounds pretty easy for thieves to do. It’s probably not a big thing right now but I vividly remember one of my clients telling me, ‘it’s just not likely a smartphone will be compromised by malware’. Hmmm…. I’ll be purchasing a RFID Blocking Passport Jacket before the next trip. Thanks for the tip.
Thank for the feedback Elaine. We appreciate it!
It’s worth it, in my opinion. I’m not sure about the collection of data and when it is happening. I believe it can happen anywhere, not just upon entry/exit.
Interesting piece!
Thanks for the feedback Brandon.
something else you might like is the Blackout Pocket from Scottevest… it’s got the RFID blocking feature to protect credit cards and passports and capability to get you “off the grid” for items like cell phones, too. Not sure if on their website yet but should be soon. Cheers!
IMHO these blocking features are a sales gimmick. RFID passports have been in use in the US for years now (2006?) and longer in some other countries. I’ve scoured the web searching for even one single solitary case of identity theft occurring due to hacking an RFID passport. After multi millions of uses, haven’t seen one yet but I’m no detective, maybe it has happened somewhere. There have been some limited lab demonstrations of how they can supposedly be hacked but if that’s the case, where are the crimes to back it up. On the other hand, thousands of passport are reported lost and stolen all the time so I think the likelihood of a good pickpocket or hotel thief stealing your identity is a gazillion times more likely. Also, the RFID theft as I understand it requires a 2 way conversation between your passport chip and a reader that has been provided the Machine read data off your passport in order to interpret the encrypted data. with some good equipment and the knowledge to back it up it is conceivable that someone could eavesdrop and record this data exchangeat the border checkpoint but he’ll look pretty damn suspicious doing it. Of course technology advances and the equipment necessary will only get smaller and better so maybe… Otherwise, in order to get your personal information, the thief has to steal your passport in order to communicate with the chip. Once he has your passport he doesn’t need to communicate with the chip in order to commit identity theft. He already has your damn passport. So I will not be purchasing this item.
I’m interested in buying a cheap one, though I’m looking at alternatives, namely making your own RFID Blocking sleeves from metal sheets or foil.